== Activity ==
Your job: say how many lines of the data underneath hold the word "energy", as a bare number.

== Source ==
-- begin --
(1)
ORCA calculation (the ωB97M-V functional and the def2-TZVPD basis) on a structure of composition C44H61NO3P2PdS2Si.

Cartesian coordinates (Å):
Pd  0.138  0.150  -0.716
C  -1.556  -3.313  -2.064
Si  -0.663  -2.038  -0.921
C  0.478  -3.161  0.167
C  0.462  -4.558  0.119
C  1.263  -5.338  0.941
C  2.087  -4.723  1.872
C  2.125  -3.337  1.935
C  1.371  -2.547  1.069
P  1.433  -0.683  1.099
C  1.066  -0.430  2.921
C  -0.207  -1.178  3.334
C  -0.523  -0.983  4.815
C  -0.656  0.495  5.165
C  0.597  1.259  4.749
C  0.896  1.052  3.264
C  3.241  -0.264  0.911
C  4.285  -0.727  1.954
C  4.754  0.422  2.843
C  5.487  1.485  2.012
C  4.868  1.616  0.609
C  3.390  1.246  0.640
C  -2.112  -1.763  0.385
C  -2.620  -2.852  1.096
C  -3.610  -2.726  2.060
C  -4.152  -1.474  2.306
C  -3.686  -0.376  1.595
C  -2.655  -0.489  0.661
P  -1.953  0.950  -0.301
C  -3.212  0.888  -1.694
C  -2.766  1.663  -2.935
C  -3.658  1.346  -4.134
C  -5.128  1.611  -3.822
C  -5.569  0.831  -2.586
C  -4.684  1.158  -1.382
C  -2.259  2.539  0.691
C  -3.528  2.931  1.475
C  -3.467  4.410  1.862
C  -3.567  5.313  0.625
C  -2.955  4.628  -0.604
C  -1.795  3.723  -0.204
H  -2.016  -4.162  -1.543
H  -0.855  -3.703  -2.807
H  -2.349  -2.793  -2.608
H  -0.204  -5.054  -0.581
H  1.234  -6.420  0.869
H  2.703  -5.314  2.541
H  2.750  -2.882  2.691
H  1.908  -0.833  3.505
H  -0.120  -2.241  3.110
H  -1.046  -0.806  2.737
H  0.281  -1.425  5.418
H  -1.444  -1.517  5.068
H  -0.850  0.624  6.235
H  -1.519  0.909  4.630
H  1.449  0.904  5.342
H  0.484  2.326  4.963
H  1.770  1.633  2.978
H  0.062  1.438  2.665
H  3.461  -0.759  -0.043
H  5.156  -1.126  1.423
H  3.919  -1.544  2.571
H  5.401  0.046  3.641
H  3.885  0.868  3.336
H  6.547  1.223  1.931
H  5.441  2.446  2.534
H  5.372  0.958  -0.103
H  5.001  2.631  0.228
H  2.916  1.482  -0.310
H  2.879  1.842  1.399
H  -2.199  -3.836  0.906
H  -3.960  -3.594  2.610
H  -4.938  -1.345  3.043
H  -4.152  0.578  1.779
H  -3.122  -0.178  -1.947
H  -1.730  1.404  -3.165
H  -2.794  2.740  -2.747
H  -3.533  0.289  -4.394
H  -3.339  1.927  -5.004
H  -5.757  1.355  -4.681
H  -5.268  2.684  -3.635
H  -5.500  -0.242  -2.795
H  -6.618  1.043  -2.353
H  -5.002  0.571  -0.516
H  -4.826  2.213  -1.130
H  -1.475  2.410  1.448
H  -3.595  2.335  2.383
H  -4.443  2.750  0.905
H  -2.517  4.589  2.376
H  -4.258  4.655  2.576
H  -3.053  6.259  0.819
H  -4.615  5.561  0.430
H  -2.617  5.374  -1.328
H  -3.718  4.036  -1.112
H  -1.056  4.324  0.334
H  -1.267  3.359  -1.085
O  6.884  -0.335  -5.192
S  6.313  -0.917  -3.997
O  7.253  -1.493  -3.064
N  5.292  0.112  -3.261
C  4.040  -0.308  -3.317
S  2.690  0.472  -2.708
C  3.880  -1.639  -3.996
C  2.721  -2.381  -4.161
C  2.821  -3.610  -4.800
C  4.049  -4.085  -5.261
C  5.210  -3.342  -5.083
C  5.090  -2.125  -4.444
H  1.784  -1.999  -3.771
H  1.933  -4.216  -4.933
H  4.099  -5.049  -5.753
H  6.172  -3.704  -5.422
O  0.492  2.988  -2.775
H  1.348  2.651  -3.075
H  0.104  2.212  -2.335

Values from the calculation:
Lowest unoccupied orbital energy (eV): 4.1
Multiplicity: 1
Electronic energy (eV): -105860.3202
Net charge: -2
-- stop --

== Reply ==
2